== Source ==
- - -
A structure of composition CH2AgFLiO at a distorted geometry, computed with ωB97M-V with the def2-TZVPD basis set.

```
7
CH2AgFLiO (ωB97M-V with the def2-TZVPD basis set)
C -0.2755 0.0492 -0.8125
O 0.8264 0.0170 0.1231
Ag 1.5873 2.0925 -0.1691
Li 0.4098 -0.6707 1.7723
F -1.3011 -0.9973 1.8246
H -1.0651 -0.7112 -0.8436
H -0.1818 0.2205 -1.8949
```

Output
multiplicity = 2
HOMO (spin up / spin down) = -7.2 / -8.8 eV
molecular weight = 163.833 g mol⁻¹
total energy = -10035.805 eV

Let us look at the Mulliken charges, expressed in e, one per atom: atom 1 (C): -0.385, atom 2 (O): -0.770, atom 3 (Ag): 0.614, atom 4 (Li): 0.849, atom 5 (F): -0.908, atom 6 (H): 0.246, atom 7 (H): 0.354


A cluster of 2 separate species, C3H11N4O in total at a distorted geometry, computed with ωB97M-V with the def2-TZVPD basis set.

```
19
C3H11N4O (ωB97M-V with the def2-TZVPD basis set)
C 2.8398 0.3230 0.1807
C -2.2907 1.0090 0.5124
C -2.4365 -0.9652 -0.8860
N -0.4462 -0.3740 -0.0673
N 3.0805 -0.8359 0.6718
N 0.4597 0.2284 0.4185
N -1.6371 -0.1120 -0.0580
O 3.0010 0.5055 -1.0892
H -1.6235 1.9332 0.5974
H -3.1877 1.2581 -0.1667
H -2.5455 0.6323 1.4416
H -2.1305 -1.9909 -1.1482
H -3.5491 -0.9646 -0.4448
H -2.4689 -0.3183 -1.8487
H 3.2822 -0.9208 1.7397
H 3.2132 -1.6028 0.1050
H 0.3807 1.2323 0.7524
H 2.6587 1.1856 0.8324
H 3.3999 -0.2228 -1.5429
```

Output
total charge = +1
HOMO = -12.3 eV
molecular weight = 119.148 g mol⁻¹
energy above the lowest of the compared OMol25 structures with the same formula, charge and spin = 141.2 kcal/mol
total energy = -11286.879 eV

These are the Mulliken partial charges, in e, on atoms 1 to 8: atom 1 (C): 0.352, atom 2 (C): -0.833, atom 3 (C): -0.826, atom 4 (N): -0.340, atom 5 (N): -0.290, atom 6 (N): -0.493, atom 7 (N): 0.604, atom 8 (O): -0.393


A cluster of 3 separate species, C24H52ClFN3O5 in total at a distorted geometry, computed with ωB97M-V with the def2-TZVPD basis set.

```
86
C24H52ClFN3O5 (ωB97M-V with the def2-TZVPD basis set)
C -0.9683 1.0000 -3.9230
C -2.0483 0.9341 -4.9992
F -3.1464 1.6904 -4.5657
C -2.4389 -0.4622 -5.4799
C -3.4131 -1.2931 -4.6486
Cl -3.5243 -2.8786 -5.5884
C -4.8543 -0.7188 -4.6350
C -5.4784 -0.6180 -3.2404
C -6.9913 -0.3464 -3.4252
C -4.9387 0.5386 -2.4166
N -5.3064 -1.9264 -2.5777
O -5.9022 -2.8730 -3.2225
C -3.8917 -2.2551 -2.2402
C -3.7213 -3.7777 -2.1792
C -3.5019 -1.7390 -0.8440
C -2.8730 -1.6720 -3.2658
H -0.3983 1.9122 -4.0242
H -1.4718 1.0863 -2.9640
H -0.3310 0.1266 -3.8940
H -1.6612 1.4558 -5.8742
H -2.8650 -0.3716 -6.4761
H -1.5137 -1.0170 -5.6027
H -4.8913 0.2336 -5.1455
H -5.4986 -1.3791 -5.1980
H -7.5608 -1.2634 -3.4660
H -7.1062 0.2401 -4.3307
H -7.3302 0.2941 -2.6186
H -5.2464 0.4239 -1.3820
H -3.8562 0.5636 -2.4208
H -5.2668 1.4794 -2.8367
H -2.7770 -3.9710 -1.6798
H -3.6659 -4.2275 -3.1599
H -4.4872 -4.2355 -1.5659
H -3.3244 -0.6700 -0.8516
H -4.2524 -1.9932 -0.1032
H -2.5555 -2.1898 -0.5738
H -2.1192 -2.4351 -3.4215
H -2.3571 -0.8404 -2.8041
C 4.7867 0.7118 1.4573
O 4.6490 2.0336 0.9595
C 5.6229 2.4112 -0.0034
C 5.0073 2.5459 -1.3808
N 4.6209 1.2465 -1.9187
C 3.7899 1.3028 -3.1179
C 2.4272 1.9855 -3.0289
O 1.4731 1.2977 -2.2402
C 1.5583 1.5303 -0.8445
H 4.1239 0.6078 2.3072
H 4.5109 -0.0353 0.7025
H 5.8095 0.5212 1.7941
H 6.4625 1.7104 -0.0143
H 6.0083 3.3900 0.2971
H 5.7379 3.0015 -2.0564
H 4.1542 3.2312 -1.2939
H 4.1197 0.7342 -1.2052
H 3.6185 0.2715 -3.4365
H 4.3670 1.7869 -3.9126
H 2.0129 1.9995 -4.0414
H 2.5003 3.0325 -2.7117
H 1.8886 2.5467 -0.6190
H 2.2210 0.8107 -0.3575
H 0.5603 1.3889 -0.4268
C 1.4409 1.6240 8.3652
O 1.9058 0.2929 8.4789
C 0.9394 -0.7000 8.1567
C 1.2818 -1.4036 6.8601
N 1.1114 -0.5199 5.7124
C 1.6558 -1.0341 4.4585
C 3.1535 -1.3181 4.3730
O 3.9749 -0.1642 4.4071
C 4.2572 0.3466 5.6989
H 2.1907 2.2711 8.8175
H 1.3073 1.9263 7.3210
H 0.4971 1.7612 8.9005
H -0.0673 -0.2744 8.1192
H 0.9602 -1.4385 8.9630
H 0.6193 -2.2659 6.7393
H 2.3101 -1.7772 6.9489
H 1.5534 0.3672 5.9143
H 1.4170 -0.3014 3.6833
H 1.1166 -1.9519 4.2024
- - -

== Wanted ==
Reproduce the part of the rows above that starts with the line with "-4.0242" and stops after the one with "5.9143".

== Here it is ==
H -0.3983 1.9122 -4.0242
H -1.4718 1.0863 -2.9640
H -0.3310 0.1266 -3.8940
H -1.6612 1.4558 -5.8742
H -2.8650 -0.3716 -6.4761
H -1.5137 -1.0170 -5.6027
H -4.8913 0.2336 -5.1455
H -5.4986 -1.3791 -5.1980
H -7.5608 -1.2634 -3.4660
H -7.1062 0.2401 -4.3307
H -7.3302 0.2941 -2.6186
H -5.2464 0.4239 -1.3820
H -3.8562 0.5636 -2.4208
H -5.2668 1.4794 -2.8367
H -2.7770 -3.9710 -1.6798
H -3.6659 -4.2275 -3.1599
H -4.4872 -4.2355 -1.5659
H -3.3244 -0.6700 -0.8516
H -4.2524 -1.9932 -0.1032
H -2.5555 -2.1898 -0.5738
H -2.1192 -2.4351 -3.4215
H -2.3571 -0.8404 -2.8041
C 4.7867 0.7118 1.4573
O 4.6490 2.0336 0.9595
C 5.6229 2.4112 -0.0034
C 5.0073 2.5459 -1.3808
N 4.6209 1.2465 -1.9187
C 3.7899 1.3028 -3.1179
C 2.4272 1.9855 -3.0289
O 1.4731 1.2977 -2.2402
C 1.5583 1.5303 -0.8445
H 4.1239 0.6078 2.3072
H 4.5109 -0.0353 0.7025
H 5.8095 0.5212 1.7941
H 6.4625 1.7104 -0.0143
H 6.0083 3.3900 0.2971
H 5.7379 3.0015 -2.0564
H 4.1542 3.2312 -1.2939
H 4.1197 0.7342 -1.2052
H 3.6185 0.2715 -3.4365
H 4.3670 1.7869 -3.9126
H 2.0129 1.9995 -4.0414
H 2.5003 3.0325 -2.7117
H 1.8886 2.5467 -0.6190
H 2.2210 0.8107 -0.3575
H 0.5603 1.3889 -0.4268
C 1.4409 1.6240 8.3652
O 1.9058 0.2929 8.4789
C 0.9394 -0.7000 8.1567
C 1.2818 -1.4036 6.8601
N 1.1114 -0.5199 5.7124
C 1.6558 -1.0341 4.4585
C 3.1535 -1.3181 4.3730
O 3.9749 -0.1642 4.4071
C 4.2572 0.3466 5.6989
H 2.1907 2.2711 8.8175
H 1.3073 1.9263 7.3210
H 0.4971 1.7612 8.9005
H -0.0673 -0.2744 8.1192
H 0.9602 -1.4385 8.9630
H 0.6193 -2.2659 6.7393
H 2.3101 -1.7772 6.9489
H 1.5534 0.3672 5.9143